“Multe scrisori aduc acuze si fac plingere impotriva Comisiei Europene si OLAF, si a membrilor acestora, de exemplu referitor la “abuz de putere, “conflict de interese”, “protectia crimei organizate de catre institutii”, “experti in dezinformare si propaganda”, OLAF “investigatii corupte”, inalti demnitari “corupti”, “retinere ilegala de inscrisuri si informatii”, abuz al “Drepturilor Fundamentale”, incalcarea Tratatului de Functionare al Uniunii Europene”.

Many letters make accusations and allegations against the European Commission and OLAF, and their individual staff members, such as, about „abuse of power”, „conflict of interest”, „protection by the institutions of organised crime”, „experts in disinformation and propaganda”, OLAF’s „corrupt investigations”, „corrupt” high level bureaucrats, „withholding evidence and information”, „abuse of the EUHR onvention”/”Infringement of the TFEU” etc.


Avind in vedere ca Omnis a investigat si probat cele mai sus mentionate, OLAF – Politia Politica a Mafiei Comisia UE, a pus Omnis pe “lista neagra”, astfel incit sa poata manipula in continuare DNA pentru a proteja infractiunile comise in Romania si in Europa incepind din anul 2004 pina in prezent.

(Document OLAF atasat in limba engleza)


Doamnă Procuror Şef DNA,

Va solicitam cu fermitate sa aparati Statul Roman impotriva abuzurilor, fraudelor, dezinformarilor si propagandei promovate incepind din anul 2004 de Comisia UE, si in primul rind de Presedintele acesteia Manuel Durao Barroso si grupul infractional din care acesta face parte, in conformitate cu probele depuse la Dosarul 85/P/2011.

Microsoft – Fujitsu Siemens – EADS – Medist – RSC – Asesoft – Teamnet si alte entitati nu au corupt numai politicieni Romani, timp de un deceniu, acestea au corupt in primul rind politicieni si demnitari la cel mai inalt nivel in Uniunea Europeana, care la rindul lor au incurajat si sustinut mecanismele de coruptie din Romania, pe care MCV le acuza.

Mecanismele de coruptie pe care Comisia UE le acuza in cazul Romaniei, in contextul in care aceasta refuza sa renunte la MCV astfel constituit si mentinut cu incalcarea reglementarilor si angajamentelor UE, au fost in fapt initiate si promovate de catre inalti birocrati corupti, atit in Romania cit si pe plan international.

DNA este in continuare obligata sa protejeze ilegalitatile si abuzurile flagrante comise de catre acestia in Romania pina in prezent (Case OLAF OF/2005/0417, Case OLAF OF/2010/0068, Dosar 85/P/2011).

Comisia Barroso (2004 – 2014) a incurajat, legitimizat, protejat si beneficiat in urma promovarii infractiunilor comise de Ecosistemul Microsoft, dupa cum Omnis si noi personal probam incepind din anul 2004 pina in prezent.

Va solicitam cu fermitate sa respectati Drepturile Fundamentale (CEDO Beraru vs. Romania), Constitutia si Legea, si sa incetati cu efect imediat abuzurile comise impotriva Statului Roman, a Omnis si a noastra personal.

Aveti obligatia conform Constitutia Romaniei – art. 31 – Dreptul la informatie

(1) Dreptul persoanei de a avea acces la orice informatie de interes public nu poate fi ingrădit. (2) Autoritătile publice, potrivit competentelor ce le revin, sunt obligate să asigure informarea corectă a cetătenilor asupra treburilor publice si asupra problemelor de interes personal, sa informati corect cetatenii si pe noi personal referitor la investigatiile pe care DNA le face incepind din anul 2005 pina in prezent asupra celor mentionate.

Omnis a identificat si probat legal si dincolo de orice de dubiu posibil urmatoarele :

MCV este un mecanism de santaj si presiune, folosit de Presedintele Comisiei “Barroso” si de grupul infractional mentionat, in scopul protejarii fraudelor comise de cei mentionati, si a garantarii faptului ca “beneficiile” obtinute in detrimentul Statului Roman si a companiilor si persoanelor care nu sunt afiliate gruparilor infractionale, vor fi impartite intre inalti demnitari din UE, Romania si corporatii pradatoare din Europa (Siemens, EADS), Japonia (Fujitsu) si SUA (Microsoft).

Va dorim succes



“In calitate de cetatean Portughez si European nu accept sa imi fie limitate drepturile. Tot ce am facut (in calitate de Presedinte al Comisiei Europene) a fost transparent si in conformitate scrupuloasa cu legea.” – Manuel Durao Barroso

(„As a Portuguese and European citizen I do not accept being limited in my rights. I have done everything transparently, scrupulously following the rules,”

„A fost nu numai pentru a satisface sentimentul de piață, dar, de asemenea, pentru a transmite mesaje clare la poziția Comisiei și Uniunii Europene. ”

(“Tratava-se não só de conhecer o sentimento dos mercados, mas também de passarmos mensagens claras com a posição da Comissão e da União Europeia.”)

Mesajele clare transmise de Barroso si grupul infractional au fost ca in Romania legea o face Ecosistemul Microsoft – Fujitsu Siemens – EADS – Medist – RSC – Asesoft – Teamnet si ca acestia pot jefui in liniste astfel protejati de Comisia UE.

DNA considera ca cetatenii portughezi, germani, austrieci si americani au toate drepturile, fata de cetatenii romani, care nu au nici un drept in comparatie cu acestia.

Romania este tratata de DNA, Comisia UE si Microsoft drept o tara in care cetatenii nu pot beneficia de Drepturile Fundamentale, Constitutie si Lege, daca acestea aduc prejudicii retelelor internationale de crima organizata.



Doamnă Procuror Şef DNA,

Va rugam sa cititi cu atentie documentul ce urmeaza si sa evaluati nivelul de implicare politica internationala si infractionala la care va expuneti in urma citirii documentului si a fisierelor atasate, in contextul refuzului de a dispune eliberarea unei copii legale a Raportului Final OLAF OF/2010/0068, in atentia Omnis si a cetatenilor interesati de modul in care sunt folositi banii publici.

Va aducem la cunostinta ca acest Raport Final (in versiunea informala pe care o detinem) contine mai multe afirmatii false si neadevaruri flagrante, care au drept scop protejarea fraudelor si ilegalitatilor comise de Comisia “Barroso” in Romania si UE in perioada 2004 – 2014.

In urma informarilor si probelor prezentate Comisiei UE incepind din 5 Mai 2005 de catre Omnis Group, aceasta avea obligatia, autoritatea si competentele garantate de cadrul legal de a VERIFICA Contractul PHARE – Proiectul RO 0007.02, cod RO 0007.

Comisia a REFUZAT VERIFICAREA si a retinut ca probele si informatiile corecte si legale prezentate de Omnis nu confirma fraudarea fondurilor UE, stabilind astfel “criteriile” de livrare a platformelor software in piata uniunii, pe care acum, dupa ce investigatiile penale in curs au fost facute publice incepind din anul 2013 de catre FBI – DoJ – FCPA – SEC, le denunta in cadrul MCV.

Dupa cum bine cunoasteti, singura informatie si obligatie a Comisiei este de a verifica Contractul Phare si, eventual, investigarea fraudelor fondurilor UE.

Ilie Botos, Irinel Paun si Claudiu Dumitrescu s-au substituit la cererea lui Sebastian Vladescu si Calin Popescu Tariceanu si, cu aprobarea Delegatiei UE, institutiilor corupte al Comisiei UE, care acum deleaga DNA responsabilitatea infractiunilor comise de inaltii demnitari UE in Romania, asteptind ca DNA sa protejeze in continuare infractiunile probate exhaustiv inca din anul 2004.

OF/2005/0417: OMNIS submitted complaints to the EU Delegation which provided the information to OLAF. OLAF dismissed the case in 2006 as the information provided was deemed insufficient to justify the opening an investigation.

Acesta este modul scrupulos de legal si transparent in care Comisia UE actioneaza si va obliga si pe Dumneavoastra sa actionati ilegal, imoral si criminal.


Scrisoare primita de Omnis Group din partea Comisiei “Barroso” :

The Director-General  OMNIS GROUP


7 Amiral Constantin Balescu, Bucharest, RO 011953 ROMANIA

E-mail: Brussels


Subject: Discontinuation of correspondence

OF No: OF/2005/0417, OF/2010/0068, OF/2012/0648


Dear Mr Riscanu,

I am replying also on behalf of the European Commission, following our letter to you dated 20 December 2013. Since then the European Commission and OLAF have subsequently received more than 20 communications from you, addressed to President Barroso, Vice-President Almunia and a number of European Commission officials. That list of correspondence is annexed to this letter.


I wish to now address the issue which was brought to your attention
in the letter to you dated 20 December 2013. This explained that the European Commission reserves the right to discontinue correspondence with you, where correspondence could be considered improper. While your correspondence contains many elements that are repetitive, abusive and/or pointless and could be considered improper, this right to discontinue correspondence with you is without prejudice to legally required procedural steps, for example, for requests for access to documents or to personal data.

Therefore, this letter does not concern your current access to documents request to OLAF, in accordance with Regulation (EC) No 1049/2001[1] regarding public access to European Parliament, Council and Commission documents. Accordingly, OLAF is treating your confirmatory application separately, as identified in your letter dated 10 February 2014, registered in OLAF on 17 February 2014, under your reference OG 25, whereas other aspects of that letter are dealt with in this letter.


  1. Background
  • OF/2005/0417: OMNIS submitted complaints to the EU Delegation which provided the information to OLAF. OLAF dismissed the case in 2006 as the information provided was deemed insufficient to justify the opening an investigation.

(Standardele de jaf si tilharie Barroso – Scheele – Buttice – Kessler – n.a)

  • OF/2010/0068: This is an on-going investigation. OMNIS is the source of the information.

(Calitate in care facem solicitarile legitime si legale – n.a.)

  • OF/2012/0648: OMNIS provided information to OLAF and was informed in 2013 that OLAF has dismissed the case.

(OLAF protejeaza crima organizata din UE- n.a.)


  1. Right of the Commission to discontinue correspondence

The right to good administration was included in the Charter of Fundamental Rights of the European Union. Article 41 of the Charter is based on case law of the Court of Justice and refers to different principles of good administration. The main document which puts the principles of good administration into practice is the European Code of Good Administrative Behaviour endorsed by the European Parliament in September 2001. Article 14 of the Code refers to the acknowledgement of receipt as well as to the possibility to discontinue correspondence with the members of public:


  1. Every letter or complaint to the institution shall receive an acknowledgement of receipt within a period of two weeks, except if a substantive reply can be sent within that period.
  2. The reply or acknowledgement of receipt shall indicate the name and the telephone number of the official who is dealing with the matter, as well as the service to which he or she belongs.
  3. No acknowledgement of receipt and no reply need be sent in cases where letters or complaints are abusive because of their excessive number or because of their repetitive or pointless character.”

Further, the Commission adopted its Code of Good Administrative Behaviour – Relations with the public. Article 4 of this Code specifically refers to the situation where correspondence received from the citizen could be considered as improper.

„These rules do not apply to correspondence which can reasonably be regarded as improper, for example, because it is repetitive, abusive and/or pointless. Then the Commission reserves the right to discontinue any such exchanges of correspondence.”


  1. Reasons for discontinuation of correspondence

Firstly, the rule on discontinuing correspondence is an exception to the European Commission’s general duty to correspond with citizens. It must be narrowly construed and must therefore be regarded as a means of last resort[2]. OLAF informed you on 20 December 2013, that the European Commission reserves the right to discontinue correspondence with you.

Prior to OLAF’s letter dated 20 December 2013, you had written at least 120 letters during 2013 to the European Commission and OLAF, particularly to the President of the European Commission, Mr. Jose Manuel Barroso, and you have also addressed or copied letters to President Barroso, Vice-President Almunia, Commissioner Semeta and to the European Commission Secretary-General Mrs Day and OLAF. OLAF has replied to many of those letters, where applicable, stating that it can only investigate matters that fall within its competence, and that in relation to all information provided by the OMNIS Group, the European Commission and OLAF have considered the information within their respective mandates.

Secondly, the European Commission and OLAF consider that your letters are repetitive as they reiterate arguments that have already been put forward, but also that the letters repeatedly criticise OLAF’s dismissal of (a) case/s but do not submit any factual elements beyond those already considered. OLAF has informed you, for example, in its letter dated 20 December 2013, that „the Commission took the necessary steps to check all of the allegations raised by you (including allegations against EU/OLAF Staff) to the extent that they fall within its/OLAF competence and, where appropriate, you were duly informed about the outcome; and where actions undertaken are not yet complete, you will be informed in accordance with the applicable rules”.

It is perhaps not sufficient to discontinue correspondence with you only on the basis of the fact that you have used repetitive arguments that have already been put forward[3]. However, the European Commission and OLAF have considered not only the volume and quantity of the correspondence, but have taken into account all the circumstances of this matter. As stated above the European Commission and OLAF have verified each time if indeed the letters contain any new evidence or any new factual elements of the issue at stake, as well as matters within OLAF’s mandate.

Many letters make accusations and allegations against the European Commission and OLAF, and their individual staff members, such as, about „abuse of power”, „conflict of interest”, „protection by the institutions of organised crime”, „experts in disinformation and propaganda”, OLAF’s „corrupt investigations”, „corrupt” high level bureaucrats, „withholding evidence and information”, „abuse of the EUHR onvention”/”Infringement of the TFEU” etc.

Your letters provide pages of accusations, press releases on political events, during which you raise arguments and ask questions which are linked to, and aimed exclusively at, supporting your initial main assertions, and reiterating the issues where you do not agree with the steps taken by the European Commission and OLAF.

Therefore, the European Commission and OLAF now consider that your correspondence is repetitive within the context of the reasons stated: quantity, circumstances of the matter, lack of new factual elements within OLAF’s mandate, and reiterating the issues where you do not agree with the steps taken by the European Commission and OLAF. Thus in the European Commission’s and OLAF’s view your correspondence is „unreasonable”[4].

In summary, your correspondence can reasonably be regarded as improper, in particular, because it is repetitive, abusive and/or pointless.


  1. Conclusion

Following an assessment of all correspondence sent to the recipients, mentioned in my first paragraph of this letter, since the beginning of 2013, and particularly since I wrote to you on 20 December 2013, informing you that the European Commission reserves the right to discontinue correspondence with you, where correspondence could be considered improper, I now conclude that the conditions in order to apply Article 14 of the Code for ending the correspondence are fulfilled.

From the date of this letter the European Commission and OLAF will no longer respond to your correspondence where the substance reiterates matters that have already been raised.

Your attention is drawn to the privacy statement below.


Yours sincerely,

Giovanni Kessler


[1] OJ L145, 31.05.2001, page 43.

[2] Point 106 of Decision of the European Ombudsman, complaint 1437/2006 (WP)BEH,

[3] Point 105 of Decision of the European Ombudsman, complaint 1437/2006 (WP)BEH,

/*
ORCA calculation (ωB97M-V/def2-TZVPD) on the molecule C6H10N2.

Last column: natural (NBO) charge in e.
Element x y z (Å)
C1 1.41 -0.30 1.28  -0.607
C2 -1.64 -1.36 -0.18  0.445
C3 0.50 -0.12 0.05  0.057
N1 1.26 0.07 -1.18  -0.830
C4 -0.34 -1.37 -0.12  -0.434
C5 -0.42 1.06 0.28  -0.184
C6 -0.71 1.98 -0.61  -0.389
N2 -2.84 -1.36 -0.02  -0.635
H1 1.83 0.90 -1.11  0.358
H2 1.87 -0.72 -1.35  0.358
H3 -3.48 -1.25 -0.80  0.381
H4 0.19 -2.30 -0.24  0.239
H5 -0.86 1.08 1.27  0.205
H6 0.82 -0.50 2.17  0.214
H7 2.00 0.60 1.44  0.209
H8 2.09 -1.14 1.12  0.205
H9 -1.38 2.79 -0.39  0.199
H10 -0.29 1.95 -1.60  0.208

## Properties
Energy above the lowest of the compared OMol25 structures with the same formula, charge and spin   45.8 kcal/mol
Largest force on an atom   0.8 eV Å⁻¹
LUMO level   1.010 eV
SMILES   C=C[C@](C)(N)C=C=N

=====

ORCA calculation (ωB97M-V/def2-TZVPD) on the molecule C6H10N2 in a non-equilibrium geometry.

Last column: natural (NBO) charge in e.
Element x y z (Å)
C1 0.93 -0.01 -0.05  0.105
C2 0.10 1.38 -0.16  -0.421
C3 -1.30 0.63 -0.24  -0.083
C4 -1.31 -0.16 1.03  -0.403
C5 -0.01 -0.91 0.73  -0.259
C6 0.05 -1.10 -0.72  -0.112
H1 2.78 -0.13 -0.89  0.362
H2 2.73 -0.51 0.70  0.361
H3 0.25 2.01 -0.98  0.201
H4 0.35 2.03 0.68  0.217
H5 -2.11 1.30 -0.39  0.211
H6 -1.16 0.49 1.95  0.206
H7 -2.16 -0.83 1.38  0.225
H8 0.22 -1.76 1.34  0.226
H9 0.38 -2.03 -1.11  0.218
H10 -0.87 -0.05 -2.06  0.344
N1 2.33 0.14 0.01  -0.819
N2 -1.18 -0.48 -1.23  -0.578

## Properties
Energy above the lowest of the compared OMol25 structures with the same formula, charge and spin   45.0 kcal/mol
Largest force on an atom   3.5 eV Å⁻¹
LUMO level   1.039 eV
SMILES   N[C@]12C[C@@H]3C[C@H]1[C@H]2N3

=====

ORCA calculation (ωB97M-V/def2-TZVPD) on the molecule C6H10N2 in a non-equilibrium geometry.

Last column: natural (NBO) charge in e.
Element x y z (Å)
C1 -2.99 -0.07 -0.33  -0.428
C2 -1.92 -0.22 0.45  -0.167
C3 -0.58 -0.02 -0.20  -0.155
C4 1.67 1.18 0.27  -0.272
C5 1.69 -0.09 -0.47  -0.118
C6 0.43 -0.83 0.38  -0.046
H1 -3.31 0.52 -1.30  0.235
H2 -3.92 -0.30 0.31  0.194
H3 -1.84 -0.68 1.56  0.224
H4 -0.73 0.01 -1.31  0.212
H5 -0.32 2.28 -0.22  0.365
H6 2.32 1.61 1.15  0.234
H7 2.17 1.78 -0.65  0.195
H8 1.58 0.01 -1.54  0.195
H9 2.12 -2.10 0.47  0.371
H10 0.63 -0.74 1.52  0.194
N1 0.14 1.26 0.15  -0.670
N2 1.49 -1.56 -0.24  -0.563

## Properties
Energy above the lowest of the compared OMol25 structures with the same formula, charge and spin   186.9 kcal/mol
Largest force on an atom   6.6 eV Å⁻¹
LUMO level   1.074 eV
SMILES   C=C[C@H]1NC[C@H]2N[C@H]12

=====

ORCA calculation (ωB97M-V/def2-TZVPD) on the molecule C6H10N2 in a non-equilibrium geometry.

Last column: natural (NBO) charge in e.
Element x y z (Å)
C1 -3.16 0.22 -0.27  -0.152
C2 0.04 -0.92 0.57  -0.071
C3 1.46 -1.23 -0.02  -0.423
C4 2.02 0.10 -0.50  -0.406
C5 1.05 1.23 0.03  -0.380
C6 -0.26 0.53 0.58  -0.097
H1 -3.13 1.27 -0.27  0.158
H2 -4.24 -0.18 -0.07  0.186
H3 -0.56 -1.69 1.17  0.224
*/
Here the article continues =

[4] Points 27-28 of Decision of the European Ombudsman, complaint 0946/2008 (BEH)(VL)ANA,